Friday, January 29, 2010

Lean on Me ~ New Pear Painting

Lean on Me
6" x 6"
Acrylic on Gallery Wrapped Canvas
A new romantic pear painting just in time for Valentine's day.....give me a break, I am no romantic--but, I do like how cute the pears are cuddled up together.

Lean on me was painted using professional artist grade acrylic paint on a gallery wrapped canvas with painted sides to allow for hanging without a frame. Painting can also be placed on a small display easel. Painting was finished with a light coat of varnish.

This painting is no longer available for purchase.

Well, off to paint the pretty face of a cow.

Thanks for stopping by and stay warm!


Wednesday, January 27, 2010

Prickly Pear Cactus ~ New kind of "pear" painting.

Prickly Pear Cactus
5" x 7"
Oil on Canvas Panel

A bit of a departure from my usual pears~ This was a fun painting that made me a little homesick for West Texas. Prickly Pear Cactus was painted using professional artist grade oil paint on a museum quality canvas panel. This painting can be framed or sat on a small display easel.

I have almost finished with my commissioned paintings and then I will be finishing my large (16" x 20") ballerina paintings. I am anxious to get back to work on them.

Check back again tomorrow, there is a new red pear painting coming soon~

Thanks for stopping by,

┌──
1.
VASP calculation (PBE) on crystalline CeTaO3 at its relaxed geometry.

```
CeTaO3
1.0
4.055 0.000 0.000
0.000 4.055 0.000
0.000 0.000 4.055
Ce Ta O
1 1 3
Direct
0.000 0.000 0.000 Ce
0.500 0.500 0.500 Ta
0.000 0.500 0.500 O
0.500 0.000 0.500 O
0.500 0.500 0.000 O
```

Properties
Raw total energy = -9.171 eV per atom
Formation energy = -3.056 eV/atom
Space-group type = No. 221

2.
VASP calculation (PBE) on crystalline HoAgSe2 at its relaxed geometry.

```
HoAgSe2
1.0
4.090 0.000 0.000
0.000 4.090 0.000
0.000 0.000 5.707
Ho Ag Se
1 1 2
Direct
0.000 0.000 0.000 Ho
0.500 0.500 0.500 Ag
0.000 0.000 0.500 Se
0.500 0.500 0.000 Se
```

Properties
Raw total energy = -4.698 eV per atom
Formation energy = -1.332 eV/atom
Space-group type = No. 123

3.
VASP calculation (PBE) on crystalline TiNbC2 at its relaxed geometry.

```
TiNbC2
1.0
1.567 0.905 5.101
-1.567 0.905 5.101
0.000 -1.809 5.101
Ti Nb C
1 1 2
Direct
0.000 0.000 0.000 Ti
0.500 0.500 0.500 Nb
0.252 0.252 0.252 C
0.748 0.748 0.748 C
```

Properties
Raw total energy = -9.778 eV per atom
Formation energy = -0.665 eV/atom
Space-group type = No. 166

4.
VASP calculation (PBE) on crystalline ErTmZn2 at its relaxed geometry.

```
ErTmZn2
1.0
0.000 3.539 3.539
3.539 0.000 3.539
3.539 3.539 0.000
Er Tm Zn
1 1 2
Direct
0.000 0.000 0.000 Er
0.500 0.500 0.500 Tm
0.250 0.250 0.250 Zn
0.750 0.750 0.750 Zn
```

Properties
Raw total energy = -3.246 eV per atom
Formation energy = -0.355 eV/atom
Space-group type = No. 225

5.
VASP calculation (PBE) on crystalline La5Sn4 at its relaxed geometry.

```
La5Sn4
1.0
8.554 0.000 0.000
0.000 16.345 0.000
0.000 0.000 8.642
La Sn
20 16
Direct
0.026 0.101 0.180 La
0.026 0.399 0.180 La
0.119 0.617 0.339 La
0.119 0.883 0.339 La
0.211 0.250 0.503 La
0.289 0.750 0.003 La
0.381 0.117 0.839 La
0.381 0.383 0.839 La
0.474 0.601 0.680 La
0.474 0.899 0.680 La
0.526 0.101 0.320 La
0.526 0.399 0.320 La
0.619 0.617 0.161 La
0.619 0.883 0.161 La
0.711 0.250 0.997 La
0.789 0.750 0.497 La
0.881 0.117 0.661 La
0.881 0.383 0.661 La
0.974 0.601 0.820 La
0.974 0.899 0.820 La
0.082 0.250 0.886 Sn
0.172 0.750 0.638 Sn
0.220 0.044 0.531 Sn
0.220 0.456 0.531 Sn
0.280 0.544 0.031 Sn
0.280 0.956 0.031 Sn
0.328 0.250 0.138 Sn
0.418 0.750 0.386 Sn
0.582 0.250 0.614 Sn
0.672 0.750 0.862 Sn
0.720 0.044 0.969 Sn
0.720 0.456 0.969 Sn
0.780 0.544 0.469 Sn
0.780 0.956 0.469 Sn
0.828 0.250 0.362 Sn
0.918 0.750 0.114 Sn
```

Properties
Raw total energy = -5.306 eV per atom
Formation energy = -0.781 eV/atom
Space-group type = No. 62

6.
VASP calculation (PBE) on crystalline YB12 at its relaxed geometry.

```
YB12
1.0
0.000 3.750 3.750
3.750 0.000 3.750
3.750 3.750 0.000
Y B
1 12
Direct
0.000 0.000 0.000 Y
0.162 0.500 0.500 B
0.162 0.500 0.838 B
0.162 0.838 0.500 B
0.500 0.162 0.500 B
0.500 0.162 0.838 B
0.500 0.500 0.162 B
0.500 0.500 0.838 B
0.500 0.838 0.162 B
0.500 0.838 0.500 B
0.838 0.162 0.500 B
0.838 0.500 0.162 B
0.838 0.500 0.500 B
```

Properties
Raw total energy = -6.907 eV per atom
└──
[The piece goes on]


Tuesday, January 12, 2010 Spotlight on Still Life Interview with Torrie Smiley

The photo taken from across the room

Later with photo software, zoom and crop

Zoom and crop again

The featured Gallery at this month is Still Life. I was asked to do an interview for their blog. Here is the interview, you can also see the interview on their EBSQ: Art Meets Blog.

What do I find compelling about Still Life is such a hard question to answer! I had to really think about it and what I discovered, to my amazement, is I love still life paintings. So many times when I set up to paint just for fun, it is still life. Landscapes and portraits seem like work.

When visiting galleries, I always gravitate toward the still life paintings. The different compositions-the setup, lighting, the everday objects The differences in technique can make the same still life look so different. I love detailed realistic still life and at the same time enjoy loose impressionistic still life paintings.
I often find myself looking at everyday objects the way the light is hitting it, the random placement, and immediately I think "that's a painting". I was eating at a restaurant in Ohio not long ago and from across the room I saw their water table set up, the light was hitting it in such a way, it was beautiful. I immediately grabbed my camera and discretely took several photos.

I guess what I am randomly trying to say is, I never set out to be a still life painter, my brain just led me that way.

This was then end of the interview. I have included the photos from the restaurant that day in Ohio. There is the original photo, the cropped versions of what could be two different paintings. See what you think....who knows when I will get around to painting it.

Have a wonderful day, I am off to actually cook dinner (lemon chicken with carrots)....those of you who know me are laughing right now.

Check back again soon,

Monday, January 11, 2010

New Poppy Painting today~

Two Poppies
6" x 6"
Acrylic on Gallery Wrapped Canvas
I took the photos for this painting this past summer of the poppies blooming along Highway 74 through North Carolina. They were beautiful. I took several reference photos and then went on to painting other things. I came across some of the photos while moving the studio and decided to a paint poppies.

Two poppies is available for purchase by using the paypal button above or my online gallery with or my store.

I am finishing up Lemons and Red Bowl for a commissioned piece and then getting busy with another Lily Pond painting. It is so nice to be painting again.

Thanks for stopping by and check back tomorrow~


Sunday, January 10, 2010

The Website is up and ready!

The new and improved website is now online. Drop by and see the newly designed website.
Thank you Seth Wright for your hard work and creativity in putting my paintings online. I love it!

My newest pear painting has sold to a collector that has been patiently waiting for me to get back to work.

I have a new small poppy painting finished that will be available online by tomorrow. The commissioned paintings are coming along and soon there will also be new ballerina paintings available for purchase. The new year is off to a great start!

Thanks for dropping by~have a wonderful week!


Saturday, January 09, 2010

The Gold Pear III, new pear painting~

The Gold Pear III
5" x 7"
Oil on Canvas Panel

This is my first pear painting in my new studio. I am not used to having so much room and the sunlight is wonderful. We will have to make some changes with the lighting in the room to paint in the evening. I want to add the recessed lighting that is in the rest of the house and then add track lighting to spotlight my work areas. That will be fun. This painting is available for purchase by using the Paypal button above or from my store or my Online Gallery with

I am also working on commissioned paintings. The Lemons and Red Bowl should be finished by tomorrow. I have also started a still life featuring the silver teapot I picked up at Goodwill last year.

Well, it is getting late, I have to get up early and paint!

Thanks for stopping by,


Thursday, January 07, 2010

The New Studio

The New Studio

Time to get busy! All moved in a ready to go. Hopefully, I will get a lot done this weekend, so many paintings waiting to be finished!

This is the new office/studio. So much room and great light! The hospital computer is against the front wall, so while doing the "day job", I can dream up a new painting, enjoy the view, or watch TV (on the shelves on the right). When it is time to paint, the cabinet doors on the right open and there are brushes, paint, and canvas all tucked away. The cabinets to the left with the glass doors hold vases, pitchers, bowls, cups, and other items used in my still life paintings. The gate-leg table has convenient drawers that hold my most used tubes of paint to be close at hand. All the studio furniture is from Ikea. Dustin put all the cabinets together; Kevin and Aaron put the table and desk together.


Almost finished with the website upgrade. Seth Wright has finished with the actual site, now we are just uploading all the paintings.

New Year, new studio, new website, new granddaughter~ Life is good!
